Material:
+++
DFT (PBE) results for a relaxed HfP2O9 crystal.

## Properties
DFT formation energy in kJ per mole of atoms: -226.5

abc: 9.1181 5.3645 15.6041
angles: 90.00 110.16 90.00
Closest atoms and distances in Å follow each position.
Space group P2_1/c (No. 14)
One atom of each set of equivalent atoms:
Hf 0.2369 0.2334 0.4752 x4  6 O 2.05-2.07
P 0.0080 0.2407 0.1203 x4  4 O 1.53-1.56
P 0.4561 0.7280 0.6061 x4  4 O 1.54-1.57
O 0.0727 0.5043 0.8911 x4  1 P 1.53
O 0.1048 0.2204 0.0573 x4  1 P 1.53
O 0.1157 0.5331 0.4016 x4  1 P 1.54
O 0.1229 0.2147 0.2209 x4  1 P 1.56
O 0.2651 0.6182 0.7459 x4  2 O 2.16-2.19
O 0.3421 0.5638 0.0577 x4  1 P 1.54
O 0.3815 0.2122 0.3987 x4  1 P 1.54
O 0.3985 0.0256 0.0616 x4  1 P 1.54
O 0.4705 0.7080 0.7093 x4  1 P 1.57


DFT (PBE) results for a relaxed CoNiTe4 crystal.

## Properties
DFT formation energy in kJ per mole of atoms: -48.8

abc: 5.4492 3.8392 6.6627
angles: 90.00 90.24 90.00
Closest atoms and distances in Å follow each position.
Space group P2/m (No. 10)
One atom of each set of equivalent atoms:
Co 0.0000 0.0000 0.0000 x1  6 Te 2.53-2.56
Ni 0.0000 0.5000 0.5000 x1  6 Te 2.57-2.62
Te 0.2343 0.0000 0.3287 x2  1 Co 2.53, 2 Ni 2.57
Te 0.2416 0.5000 0.8413 x2  2 Co 2.56, 1 Ni 2.62


DFT (PBE) results for a relaxed CuBiO2 crystal.

## Properties
DFT formation energy in kJ per mole of atoms: -121.6

abc: 6.1562 3.6353 6.6940
angles: 90.00 116.07 90.00
Closest atoms and distances in Å follow each position.
Space group P2_1/m (No. 11)
One atom of each set of equivalent atoms:
Cu 0.0275 0.2500 0.1684 x2  2 O 1.84
Bi 0.4321 0.2500 0.7354 x2  3 O 2.21-2.30
O 0.2990 0.7500 0.9112 x2  1 Cu 1.84
O 0.3603 0.2500 0.3041 x2  1 Cu 1.84

* * * * *

Entry 1:
Mg7Ti | the Materials Project | PBE | optimized geometry; M_tot = 1.7 μB/f.u.; crystal system = cubic; volume = 21.88 Å³ per atom; energy of formation = 0.085 eV per atom; total energy = -2.302 eV per atom
1.0
0.000 4.440 4.440
4.440 0.000 4.440
4.440 4.440 0.000
Mg Ti
7 1
Cartesian
2.220 4.440 2.220
2.220 0.000 2.220
2.220 2.220 0.000
2.220 2.220 4.440
0.000 2.220 2.220
4.440 4.440 4.440
4.440 2.220 2.220
0.000 0.000 0.000


Entry 2:
Ge3Rh2Se3 | the Materials Project | PBE | optimized geometry; crystal system = trigonal; volume = 20.44 Å³ per atom; energy of formation = -0.680 eV per atom; total energy = -5.389 eV per atom
1.0
6.144 -6.132 0.000
6.144 6.132 0.000
0.024 0.000 8.681
Rh Se Ge
8 12 12
Cartesian
6.162 3.047 2.160
6.140 -3.069 2.192
9.214 -0.022 2.175
6.172 3.069 6.489
3.098 0.022 6.505
3.054 0.000 2.154
9.258 0.000 6.527
6.150 -3.047 6.520
5.253 -0.855 1.273
2.189 -2.159 7.446
7.437 -3.099 0.004
3.962 2.148 3.103
9.203 1.293 4.368
4.876 3.099 8.677
7.030 -5.258 5.621
8.350 -2.148 5.577
3.109 -1.293 4.313
5.282 5.258 3.060
7.059 0.855 7.408
10.123 2.159 1.234
5.038 -2.980 4.356
7.274 2.980 4.325
8.187 4.072 1.310
3.002 1.122 8.663
4.125 -4.072 7.371
5.219 -0.922 7.239
5.245 5.194 5.782
7.093 0.922 1.441
8.193 -2.059 3.020
7.067 -5.194 2.899
4.119 2.059 5.660
9.310 -1.122 0.018

* * * * *

(1)
The following is a DFT calculation (r²SCAN) of a geometry-optimized CaBr2 structure.

Cell: 4.366 6.655 6.906 Å, 90.00 90.00 90.00°
Fractional positions:
Ca  0.000  0.000  0.000
Ca  0.500  0.500  0.500
Br  0.000  0.275  0.327
Br  0.000  0.725  0.673
Br  0.500  0.775  0.173
Br  0.500  0.225  0.827

SG: No. 58
Calculated formation energy (meV/atom): -2303

=====

(2)
The following is a DFT calculation (r²SCAN) of a geometry-optimized SrBiO3 structure.

Cell: 5.955 6.144 8.505 Å, 90.00 90.03 90.00°
Fractional positions:
Sr  0.986  0.551  0.249
Sr  0.514  0.051  0.251
Sr  0.014  0.449  0.751
Sr  0.486  0.949  0.749
Bi  0.000  0.000  0.000
Bi  0.500  0.500  0.500
Bi  0.000  0.000  0.500
Bi  0.500  0.500  0.000
O  0.689  0.786  0.059
O  0.811  0.286  0.441
O  0.311  0.214  0.941
O  0.189  0.714  0.559
O  0.788  0.306  0.053
O  0.712  0.806  0.447
O  0.212  0.694  0.947
O  0.288  0.194  0.553
O  0.395  0.458  0.239
O  0.105  0.958  0.261
O  0.605  0.542  0.761
+++
Request:
Please copy the whole of the contents further above unchanged.
Here it is:
DFT (PBE) results for a relaxed HfP2O9 crystal.

## Properties
DFT formation energy in kJ per mole of atoms: -226.5

abc: 9.1181 5.3645 15.6041
angles: 90.00 110.16 90.00
Closest atoms and distances in Å follow each position.
Space group P2_1/c (No. 14)
One atom of each set of equivalent atoms:
Hf 0.2369 0.2334 0.4752 x4  6 O 2.05-2.07
P 0.0080 0.2407 0.1203 x4  4 O 1.53-1.56
P 0.4561 0.7280 0.6061 x4  4 O 1.54-1.57
O 0.0727 0.5043 0.8911 x4  1 P 1.53
O 0.1048 0.2204 0.0573 x4  1 P 1.53
O 0.1157 0.5331 0.4016 x4  1 P 1.54
O 0.1229 0.2147 0.2209 x4  1 P 1.56
O 0.2651 0.6182 0.7459 x4  2 O 2.16-2.19
O 0.3421 0.5638 0.0577 x4  1 P 1.54
O 0.3815 0.2122 0.3987 x4  1 P 1.54
O 0.3985 0.0256 0.0616 x4  1 P 1.54
O 0.4705 0.7080 0.7093 x4  1 P 1.57


DFT (PBE) results for a relaxed CoNiTe4 crystal.

## Properties
DFT formation energy in kJ per mole of atoms: -48.8

abc: 5.4492 3.8392 6.6627
angles: 90.00 90.24 90.00
Closest atoms and distances in Å follow each position.
Space group P2/m (No. 10)
One atom of each set of equivalent atoms:
Co 0.0000 0.0000 0.0000 x1  6 Te 2.53-2.56
Ni 0.0000 0.5000 0.5000 x1  6 Te 2.57-2.62
Te 0.2343 0.0000 0.3287 x2  1 Co 2.53, 2 Ni 2.57
Te 0.2416 0.5000 0.8413 x2  2 Co 2.56, 1 Ni 2.62


DFT (PBE) results for a relaxed CuBiO2 crystal.

## Properties
DFT formation energy in kJ per mole of atoms: -121.6

abc: 6.1562 3.6353 6.6940
angles: 90.00 116.07 90.00
Closest atoms and distances in Å follow each position.
Space group P2_1/m (No. 11)
One atom of each set of equivalent atoms:
Cu 0.0275 0.2500 0.1684 x2  2 O 1.84
Bi 0.4321 0.2500 0.7354 x2  3 O 2.21-2.30
O 0.2990 0.7500 0.9112 x2  1 Cu 1.84
O 0.3603 0.2500 0.3041 x2  1 Cu 1.84

* * * * *

Entry 1:
Mg7Ti | the Materials Project | PBE | optimized geometry; M_tot = 1.7 μB/f.u.; crystal system = cubic; volume = 21.88 Å³ per atom; energy of formation = 0.085 eV per atom; total energy = -2.302 eV per atom
1.0
0.000 4.440 4.440
4.440 0.000 4.440
4.440 4.440 0.000
Mg Ti
7 1
Cartesian
2.220 4.440 2.220
2.220 0.000 2.220
2.220 2.220 0.000
2.220 2.220 4.440
0.000 2.220 2.220
4.440 4.440 4.440
4.440 2.220 2.220
0.000 0.000 0.000


Entry 2:
Ge3Rh2Se3 | the Materials Project | PBE | optimized geometry; crystal system = trigonal; volume = 20.44 Å³ per atom; energy of formation = -0.680 eV per atom; total energy = -5.389 eV per atom
1.0
6.144 -6.132 0.000
6.144 6.132 0.000
0.024 0.000 8.681
Rh Se Ge
8 12 12
Cartesian
6.162 3.047 2.160
6.140 -3.069 2.192
9.214 -0.022 2.175
6.172 3.069 6.489
3.098 0.022 6.505
3.054 0.000 2.154
9.258 0.000 6.527
6.150 -3.047 6.520
5.253 -0.855 1.273
2.189 -2.159 7.446
7.437 -3.099 0.004
3.962 2.148 3.103
9.203 1.293 4.368
4.876 3.099 8.677
7.030 -5.258 5.621
8.350 -2.148 5.577
3.109 -1.293 4.313
5.282 5.258 3.060
7.059 0.855 7.408
10.123 2.159 1.234
5.038 -2.980 4.356
7.274 2.980 4.325
8.187 4.072 1.310
3.002 1.122 8.663
4.125 -4.072 7.371
5.219 -0.922 7.239
5.245 5.194 5.782
7.093 0.922 1.441
8.193 -2.059 3.020
7.067 -5.194 2.899
4.119 2.059 5.660
9.310 -1.122 0.018

* * * * *

(1)
The following is a DFT calculation (r²SCAN) of a geometry-optimized CaBr2 structure.

Cell: 4.366 6.655 6.906 Å, 90.00 90.00 90.00°
Fractional positions:
Ca  0.000  0.000  0.000
Ca  0.500  0.500  0.500
Br  0.000  0.275  0.327
Br  0.000  0.725  0.673
Br  0.500  0.775  0.173
Br  0.500  0.225  0.827

SG: No. 58
Calculated formation energy (meV/atom): -2303

=====

(2)
The following is a DFT calculation (r²SCAN) of a geometry-optimized SrBiO3 structure.

Cell: 5.955 6.144 8.505 Å, 90.00 90.03 90.00°
Fractional positions:
Sr  0.986  0.551  0.249
Sr  0.514  0.051  0.251
Sr  0.014  0.449  0.751
Sr  0.486  0.949  0.749
Bi  0.000  0.000  0.000
Bi  0.500  0.500  0.500
Bi  0.000  0.000  0.500
Bi  0.500  0.500  0.000
O  0.689  0.786  0.059
O  0.811  0.286  0.441
O  0.311  0.214  0.941
O  0.189  0.714  0.559
O  0.788  0.306  0.053
O  0.712  0.806  0.447
O  0.212  0.694  0.947
O  0.288  0.194  0.553
O  0.395  0.458  0.239
O  0.105  0.958  0.261
O  0.605  0.542  0.761